To do =
Could you echo the lines further below up to the one that holds "0.14 0.23", that line included?

Material =
-- begin --
[1]
ORCA calculation (ωB97M-V with the def2-TZVPD basis set) on C29H44F30N6O21PS10 as an isolated structure.

XYZ file:
```
141
Properties=species:S:1:pos:R:3:forces:R:3:mulliken_charge:R:1
C -0.9007 -2.8623 1.5580 0.28 0.04 0.44 -1.1029
C -1.2389 -1.4521 1.1590 -2.18 -2.02 -1.12 0.8490
O -0.6210 -0.5063 0.8586 1.32 1.11 0.11 -0.3093
N -2.7815 -1.3415 0.9230 -0.03 -1.37 1.03 1.5460
H -3.1077 -2.0935 0.2329 0.37 0.78 0.42 -0.0310
H -3.1739 -1.6030 1.8528 -0.32 -0.34 -0.16 0.0113
C -3.2778 -0.0078 0.5870 0.40 -0.14 -0.81 0.3755
H -1.5900 -3.6050 1.0871 0.56 0.68 0.28 0.0385
H -1.0163 -2.9603 2.6574 0.06 0.00 -0.48 0.3754
H 0.1531 -3.0782 1.3172 -0.50 0.09 0.09 0.1929
H -2.8604 0.6556 1.3411 -0.30 0.26 -0.34 -0.5992
H -4.3679 -0.0212 0.5462 0.23 0.01 0.26 0.4543
H -2.9020 0.1601 -0.4260 -0.08 0.57 0.17 -0.0915
C -0.4632 2.8184 4.0699 0.56 0.13 1.16 -1.5060
C -1.1419 2.8752 2.7471 1.17 -0.91 -1.81 -0.4870
C -0.1198 2.5839 1.5774 -0.28 0.53 0.36 -0.7238
C -0.8264 2.7371 0.2194 -0.63 0.90 0.46 -0.0102
P 0.2472 3.0519 -1.1471 2.03 -0.03 0.30 0.3591
C 1.8791 2.3208 -0.6779 -2.15 -0.14 0.15 -0.8800
C 2.7493 2.3541 -1.8940 -0.42 -0.53 -0.26 -0.7239
C 4.1222 1.8435 -1.6828 0.77 -1.67 1.65 -0.1305
C 4.8126 1.8161 -2.9934 0.27 -2.69 -0.19 -1.5090
C -0.3744 2.2955 -2.6392 0.31 -0.41 -0.20 -0.6272
C -0.3103 0.7360 -2.5653 -1.43 0.94 -1.05 0.4005
C -1.3598 0.1261 -3.5581 -1.09 -0.01 2.09 1.2675
C -0.8686 0.0340 -4.9548 -0.35 -0.27 -1.30 -1.7029
C 0.5431 4.7649 -1.5388 -1.21 0.33 -0.21 0.3234
C 0.9022 5.7868 -0.4904 2.16 1.31 0.27 -0.9657
C -0.1928 6.2214 0.4969 1.11 0.24 -0.04 0.6801
C 0.3059 7.1403 1.6343 1.44 -1.42 -0.71 -1.6578
H -1.1021 2.9738 4.9283 -0.73 -0.28 0.06 0.4268
H 0.2517 3.6469 4.2333 0.17 -0.52 -0.59 0.3159
H 0.0138 1.8424 4.2127 0.16 0.28 0.05 0.2845
H -1.4869 3.8435 2.5124 -0.71 1.37 0.04 0.4705
H -1.9925 2.2005 2.6226 0.15 -0.07 0.38 0.2107
H 0.2787 1.5473 1.6435 -0.03 0.87 0.11 0.5089
H 0.7064 3.3464 1.5958 -0.54 -0.81 0.46 0.3983
H -1.7140 3.3935 0.2153 0.54 0.27 0.10 1.0555
H -1.2598 1.8273 -0.0585 -0.70 -1.83 -0.26 -0.2491
H 1.6582 1.3646 -0.1569 0.48 0.16 -0.77 0.5441
H 2.2259 2.9685 0.1000 0.53 0.50 0.50 0.9923
H 2.8362 3.3883 -2.2237 -0.22 0.11 -0.35 0.1379
H 2.2996 1.7192 -2.7009 0.29 0.76 0.45 0.1208
H 4.0632 0.7982 -1.3215 -0.03 0.38 -0.05 -0.1019
H 4.7129 2.3281 -0.8872 -0.40 0.39 -0.30 0.4477
H 5.8527 1.5216 -2.8702 0.25 0.64 -0.17 0.4248
H 4.5932 2.7327 -3.4789 0.39 0.76 -1.09 0.4148
H 4.3938 0.9019 -3.5117 0.20 1.28 -0.13 0.2953
H 0.2027 2.6413 -3.5173 -0.37 0.17 0.46 0.7774
H -1.3901 2.7118 -2.6755 0.05 -0.34 -0.40 -0.1981
H -0.4599 0.4445 -1.5402 -0.23 -0.52 0.36 -0.6141
H 0.6740 0.4248 -2.8706 0.44 -0.26 0.06 0.4462
H -2.2921 0.7493 -3.5346 0.78 -0.39 0.06 -0.3585
H -1.7193 -0.8577 -3.2018 0.52 0.36 -0.02 -0.6722
H -0.9974 0.9999 -5.4116 -0.38 0.49 -0.58 0.4443
H -1.4830 -0.7305 -5.5383 1.26 0.93 0.58 0.3489
H 0.2190 -0.0618 -5.0025 -0.09 -0.94 -0.10 0.3549
H -0.4332 5.1381 -1.8518 -0.04 -0.32 -0.73 -0.8651
H 1.2265 4.7633 -2.4001 -0.28 0.14 0.23 0.6699
H 1.2615 6.7050 -1.0872 -0.59 -1.18 0.97 0.4539
H 1.8067 5.4401 0.0584 -0.36 0.26 -0.04 0.3467
H -0.5860 5.3522 1.0066 -0.52 -0.30 -0.18 -0.3098
H -0.9252 6.7477 -0.0942 -0.66 -0.14 0.02 0.2877
H 0.7647 8.0439 1.2639 -0.21 0.55 -0.24 0.4259
H 1.1667 6.6204 2.1487 -1.13 0.39 0.00 0.3048
H -0.5383 7.3384 2.2680 -0.03 0.26 0.62 0.4238
C 9.3870 -2.6118 0.8267 -1.46 1.09 -0.92 0.6435
F 8.7216 -1.5637 1.3463 0.43 0.07 0.71 -0.2396
F 10.6744 -2.3011 0.7929 0.44 -0.18 -0.04 -0.2436
F 9.1971 -3.6717 1.5795 0.13 -0.34 0.44 -0.2195
S 8.6156 -2.8227 -0.8570 1.74 -0.35 -1.03 1.0615
O 9.3018 -1.8203 -1.6912 -1.53 -1.11 1.24 -0.6461
O 8.9114 -4.2121 -1.1331 -0.12 0.55 -0.18 -0.6678
N 7.0791 -2.7036 -0.5813 0.57 -1.25 0.17 -0.3836
S 6.0907 -1.5275 -0.6460 0.13 0.61 -1.95 0.9746
O 6.7959 -0.2774 -0.7041 -0.51 0.86 -0.14 -0.6368
O 5.0233 -1.7921 -1.6073 0.76 0.46 1.36 -0.6158
C 5.3022 -1.4666 1.0019 0.76 -0.53 0.06 0.6305
F 4.6956 -2.5974 1.2994 -0.33 -0.20 0.15 -0.2245
-- stop --

Written answer =
[1]
ORCA calculation (ωB97M-V with the def2-TZVPD basis set) on C29H44F30N6O21PS10 as an isolated structure.

XYZ file:
```
141
Properties=species:S:1:pos:R:3:forces:R:3:mulliken_charge:R:1
C -0.9007 -2.8623 1.5580 0.28 0.04 0.44 -1.1029
C -1.2389 -1.4521 1.1590 -2.18 -2.02 -1.12 0.8490
O -0.6210 -0.5063 0.8586 1.32 1.11 0.11 -0.3093
N -2.7815 -1.3415 0.9230 -0.03 -1.37 1.03 1.5460
H -3.1077 -2.0935 0.2329 0.37 0.78 0.42 -0.0310
H -3.1739 -1.6030 1.8528 -0.32 -0.34 -0.16 0.0113
C -3.2778 -0.0078 0.5870 0.40 -0.14 -0.81 0.3755
H -1.5900 -3.6050 1.0871 0.56 0.68 0.28 0.0385
H -1.0163 -2.9603 2.6574 0.06 0.00 -0.48 0.3754
H 0.1531 -3.0782 1.3172 -0.50 0.09 0.09 0.1929
H -2.8604 0.6556 1.3411 -0.30 0.26 -0.34 -0.5992
H -4.3679 -0.0212 0.5462 0.23 0.01 0.26 0.4543
H -2.9020 0.1601 -0.4260 -0.08 0.57 0.17 -0.0915
C -0.4632 2.8184 4.0699 0.56 0.13 1.16 -1.5060
C -1.1419 2.8752 2.7471 1.17 -0.91 -1.81 -0.4870
C -0.1198 2.5839 1.5774 -0.28 0.53 0.36 -0.7238
C -0.8264 2.7371 0.2194 -0.63 0.90 0.46 -0.0102
P 0.2472 3.0519 -1.1471 2.03 -0.03 0.30 0.3591
C 1.8791 2.3208 -0.6779 -2.15 -0.14 0.15 -0.8800
C 2.7493 2.3541 -1.8940 -0.42 -0.53 -0.26 -0.7239
C 4.1222 1.8435 -1.6828 0.77 -1.67 1.65 -0.1305
C 4.8126 1.8161 -2.9934 0.27 -2.69 -0.19 -1.5090
C -0.3744 2.2955 -2.6392 0.31 -0.41 -0.20 -0.6272
C -0.3103 0.7360 -2.5653 -1.43 0.94 -1.05 0.4005
C -1.3598 0.1261 -3.5581 -1.09 -0.01 2.09 1.2675
C -0.8686 0.0340 -4.9548 -0.35 -0.27 -1.30 -1.7029
C 0.5431 4.7649 -1.5388 -1.21 0.33 -0.21 0.3234
C 0.9022 5.7868 -0.4904 2.16 1.31 0.27 -0.9657
C -0.1928 6.2214 0.4969 1.11 0.24 -0.04 0.6801
C 0.3059 7.1403 1.6343 1.44 -1.42 -0.71 -1.6578
H -1.1021 2.9738 4.9283 -0.73 -0.28 0.06 0.4268
H 0.2517 3.6469 4.2333 0.17 -0.52 -0.59 0.3159
H 0.0138 1.8424 4.2127 0.16 0.28 0.05 0.2845
H -1.4869 3.8435 2.5124 -0.71 1.37 0.04 0.4705
H -1.9925 2.2005 2.6226 0.15 -0.07 0.38 0.2107
H 0.2787 1.5473 1.6435 -0.03 0.87 0.11 0.5089
H 0.7064 3.3464 1.5958 -0.54 -0.81 0.46 0.3983
H -1.7140 3.3935 0.2153 0.54 0.27 0.10 1.0555
H -1.2598 1.8273 -0.0585 -0.70 -1.83 -0.26 -0.2491
H 1.6582 1.3646 -0.1569 0.48 0.16 -0.77 0.5441
H 2.2259 2.9685 0.1000 0.53 0.50 0.50 0.9923
H 2.8362 3.3883 -2.2237 -0.22 0.11 -0.35 0.1379
H 2.2996 1.7192 -2.7009 0.29 0.76 0.45 0.1208
H 4.0632 0.7982 -1.3215 -0.03 0.38 -0.05 -0.1019
H 4.7129 2.3281 -0.8872 -0.40 0.39 -0.30 0.4477
H 5.8527 1.5216 -2.8702 0.25 0.64 -0.17 0.4248
H 4.5932 2.7327 -3.4789 0.39 0.76 -1.09 0.4148
H 4.3938 0.9019 -3.5117 0.20 1.28 -0.13 0.2953
H 0.2027 2.6413 -3.5173 -0.37 0.17 0.46 0.7774
H -1.3901 2.7118 -2.6755 0.05 -0.34 -0.40 -0.1981
H -0.4599 0.4445 -1.5402 -0.23 -0.52 0.36 -0.6141
H 0.6740 0.4248 -2.8706 0.44 -0.26 0.06 0.4462
H -2.2921 0.7493 -3.5346 0.78 -0.39 0.06 -0.3585
H -1.7193 -0.8577 -3.2018 0.52 0.36 -0.02 -0.6722
H -0.9974 0.9999 -5.4116 -0.38 0.49 -0.58 0.4443
H -1.4830 -0.7305 -5.5383 1.26 0.93 0.58 0.3489
H 0.2190 -0.0618 -5.0025 -0.09 -0.94 -0.10 0.3549
H -0.4332 5.1381 -1.8518 -0.04 -0.32 -0.73 -0.8651
H 1.2265 4.7633 -2.4001 -0.28 0.14 0.23 0.6699